Monday, March 10, 2025

Sweater Hearts and More

If you know me, you know that I like to go to thrift shops.  You also know that I LOVE to make things from used sweaters.  Last week I picked up a pretty magenta-colored sweater, washed it and made up some sweet stuffed hearts.

What can you do with these hearts?  I like to decorate with them - put them in a bowl or basket and set them out on the table.  Or you can put them on a shelf as a piece of interest.

After I stitched up some hearts from the sweaters, I looked at my fabrics to see if anything matched them.  I found this cute Tilda fabric and made some little pincushions to match the hearts.

They kind of all go together as a collection.  I usually sew antique buttons on some of them to give them a bit of embellishment.  

After I made the pincushions, I went into the stamping room to see if I had any papers to match my project.  I painted a small wooden block and added some pretty papers from Stampin Up along with a Bible verse.  I love how it turned out and matches the hearts.  :)

Then I made a fridge magnet to match.  I had fun in my craft rooms and I call that a wonderful creative day.  


Colorful Door Banner

____________
Record 1
Computed powder diffractogram
Compound: AcLa14Ho
Radiation: Cu Kα
Structure: DFT lattice parameters and positions (GGA-PBE)

Main lines, low angle first (2θ = 10–90°):
2θ/deg  intensity
29.36  100
33.89  17
34.09  34
48.83  24
48.98  12
57.87  15
58.14  29
60.90  13
79.16  12
81.89  8

Structural model:
Lattice parameters (Å, degrees): 10.512 10.527 10.580 90.00 90.00 90.00
Space group Cmmm (No. 65)
Symmetry-distinct sites (fractional):
Ac (0.000, 0.000, 0.000) (multiplicity 2)
La (0.000, 0.000, 0.500) (multiplicity 2)
La (0.000, 0.254, 0.251) (multiplicity 8)
La (0.000, 0.500, 0.500) (multiplicity 2)
La (0.245, 0.500, 0.251) (multiplicity 8)
La (0.250, 0.250, 0.000) (multiplicity 4)
La (0.250, 0.250, 0.500) (multiplicity 4)
Ho (0.000, 0.500, 0.000) (multiplicity 2)

***

Record 2
Computed powder diffractogram
Compound: Ac8LaHo4
Radiation: Cu Kα
Structure: DFT lattice parameters and positions (GGA-PBE)

Main lines, low angle first (2θ = 10–90°):
2θ/deg  intensity
18.41  9
21.29  17
30.29  100
43.37  19
48.80  7
53.79  30
53.88  10
63.01  12
71.50  16
87.42  14

Structural model:
Lattice parameters (Å, degrees): 11.8106 11.8106 14.4352 90.00 90.00 120.00
Space group R-3m (No. 166, hexagonal axes)
Symmetry-distinct sites (fractional):
Ac (0.0000, 0.0000, 0.2400) (multiplicity 6)
Ac (0.0129, 0.5064, 0.7465) (multiplicity 18)
La (0.0000, 0.0000, 0.5000) (multiplicity 3)
Ho (0.0000, 0.0000, 0.0000) (multiplicity 3)
Ho (0.0000, 0.5000, 0.0000) (multiplicity 9)

***

Record 3
Computed powder diffractogram
Compound: Ac3La4Ho4
Radiation: Cu Kα
Structure: DFT lattice parameters and positions (GGA-PBE)

Main lines, low angle first (2θ = 10–90°):
2θ/deg  intensity
29.47  30
30.17  63
30.39  100
42.82  22
43.91  12
53.82  13
53.97  13
54.32  13
59.18  31
76.24  12

Structural model:
Lattice parameters (Å, degrees): 3.685 5.889 18.975 98.87 95.54 90.01
Space group P-1 (No. 2)
Symmetry-distinct sites (fractional):
Ac (0.000, 0.000, 0.000) (multiplicity 1)
Ac (0.137, 0.637, 0.274) (multiplicity 2)
La (0.266, 0.266, 0.532) (multiplicity 2)
La (0.408, 0.908, 0.816) (multiplicity 2)
Ho (0.317, 0.817, 0.635) (multiplicity 2)
Ho (0.455, 0.454, 0.910) (multiplicity 2)

***

Record 4
Computed powder diffractogram
Compound: AcLa12Ho5
Radiation: Cu Kα
Structure: DFT lattice parameters and positions (GGA-PBE)

Main lines, low angle first (2θ = 10–90°):
2θ/deg  intensity
30.36  74
30.41  100
30.60  21
30.70  26
43.75  19
54.01  29
54.37  12
60.13  12
60.50  12
63.25  11

Structural model:
Lattice parameters (Å, degrees): 12.540 17.476 5.880 90.00 90.10 90.00
Space group C2/m (No. 12)
Symmetry-distinct sites (fractional):
Ac (0.000, 0.000, 0.000) (multiplicity 2)
La (0.148, 0.182, 0.998) (multiplicity 8)
La (0.150, 0.322, 0.502) (multiplicity 8)
La (0.195, 0.500, 0.981) (multiplicity 4)
La (0.208, 0.000, 0.521) (multiplicity 4)
Ho (0.000, 0.139, 0.500) (multiplicity 4)
Ho (0.000, 0.365, 0.000) (multiplicity 4)
Ho (0.000, 0.500, 0.500) (multiplicity 2)

***
____________

 This weekend I had a sewing retreat at my house and made this colorful door banner.  I found the idea for it in American Patch and Quilting magazine and it was made by Sherri McConnell.

I thought the idea was really cute so I made it using fabrics from Corey Yoder.  I happen to have a whole box of them.  But they're just so pretty, I hate even cutting them up!

I worked up my own pattern for the little house.  The one in the magazine was only 4" big and I wanted something around 6."  It took a bit longer to make than I expected; I was hoping to have 2 completed by the end of the weekend.  But I'm glad to have at least this one - I love how it turned out and of course, I want to make more of these!

I'm going to donate this banner to my quilt guild to be raffled off in April.  I usually make some sort of quilty prize for our monthly drawings.  

The banner doesn't have to be hung only on a front door.  I think it can be hung in any room where you need something colorful.  I have a quilt kit in these fabrics and one of these days, I hope to make it.  Maybe I'll make another banner to match it.  :)

Quilt #1 for 2025 - The Brown and Pink Quilt


I finally finished this Brown & Pink quilt!  I think I started it in 2008 and because these colors are not really my style anymore, I never finished it.

Entry 1:
Theoretical PXRD pattern of La3AgPd2 for copper Kα, from DFT lattice parameters and positions (PBE).

The 6 most intense peaks (10° ≤ 2θ ≤ 90°), in order of falling intensity:
2θ 33.3, I = 100
2θ 39.6, I = 23
2θ 31.2, I = 22
2θ 44.2, I = 13
2θ 67.8, I = 12
2θ 51.2, I = 11

abc: 8.843 8.843 4.555
angles: 90.00 90.00 153.21
Positions (direct):
1 La 0.000 0.000 0.000
2 La 0.167 0.833 0.500
3 La 0.833 0.167 0.500
4 Ag 0.500 0.500 0.500
5 Pd 0.366 0.634 0.000
6 Pd 0.634 0.366 0.000

Entry 2:
Theoretical PXRD pattern of La2Ag2Pd for copper Kα, from DFT lattice parameters and positions (PBE).

The 6 most intense peaks (10° ≤ 2θ ≤ 90°), in order of falling intensity:
2θ 31.5, I = 100
2θ 36.0, I = 64
2θ 32.9, I = 51
2θ 35.7, I = 36
2θ 41.8, I = 28
2θ 60.4, I = 27

abc: 3.887 7.933 7.933
angles: 31.58 90.00 90.00
Positions (direct):
1 La 0.000 0.000 0.000
2 La 0.000 0.249 0.249
3 Ag 0.500 0.628 0.628
4 Ag 0.500 0.822 0.822
5 Pd 0.500 0.438 0.438

Entry 3:
Theoretical PXRD pattern of La3Ag3Pd for copper Kα, from DFT lattice parameters and positions (PBE).

The 6 most intense peaks (10° ≤ 2θ ≤ 90°), in order of falling intensity:
2θ 30.8, I = 100
2θ 36.4, I = 46
2θ 31.9, I = 46
2θ 37.5, I = 40
2θ 34.5, I = 32
2θ 40.1, I = 32

It's a long quilt and it actually came out kind of nice in the end.  :)  I saw a photo in a magazine ad and liked the half-square triangle look with the added rectangle of sashing.  It's made from Henry Glass fabrics and all these years I've called it the "brown and pink" quilt. 

Because I liked the fabric years ago, I have a lot of sewing accessories made from it - wall hanging, sewing machine mat, zippered pouches and pin cushions.  I usually bring these with me when I go on sewing retreats.  

For the machine quilting, I did an overall stipple with swirls in it.  I think it turned out nice.  

What will I do with this quilt?  I'm not sure.  I may find someone who still likes these colors and give it to them.